### Entries
'''
The following is a DFT calculation (ωB97M-V with the def2-TZVPD basis set) of an isolated ion of composition C3H3N2O2 and charge -1.

Each line ends with the Mulliken charge.
Cartesian coordinates (Å):
O (2.3320, 1.4338, 0.4075)  -0.652
C (1.8406, 0.4379, -0.0615)  0.079
N (0.6097, 0.1611, 0.1137)  0.011
N (-0.1402, -0.9329, -0.5669)  -0.335
C (-1.5204, -0.6458, -0.3993)  -0.916
C (-2.3027, 0.0978, 0.2553)  0.742
O (-3.1371, 0.8197, 0.6786)  -0.655
H (2.3903, -0.3004, -0.6462)  0.330
H (-0.2133, 0.7524, 0.3279)  0.155
H (0.1411, -1.8235, -0.1090)  0.242

Properties
Orbital gap in hartree: 0.2409
Energy relative to the best compared isomer or geometry (same formula, charge and spin) in eV: 3.512
Maximum force in eV/A: 5.84
LUMO level in eV: 4.01
SMILES string: O=CNNC#C[O-]
Multiplicity: 1
HOMO in eV: -2.55
Charge: -1

The following is a DFT calculation (ωB97M-V with the def2-TZVPD basis set) of an isolated ion of composition C3H3N2O2 and charge -1.

Each line ends with the Mulliken charge.
Cartesian coordinates (Å):
C (0.3330, -0.0627, -0.3696)  -0.681
C (0.3947, 1.2658, -1.9872)  0.373
C (-0.3119, 1.1913, -0.8622)  0.551
N (0.0817, -1.4467, 1.6133)  -0.847
N (-0.2438, -0.3292, 0.8060)  0.141
O (1.1549, 1.1092, -2.9056)  -0.536
O (-1.2391, 1.8487, -0.2883)  -0.908
H (-0.2931, -2.2962, 1.1781)  0.247
H (1.0964, -1.5536, 1.6083)  0.302
H (-0.9728, 0.2735, 1.2073)  0.358

Properties
Orbital gap in hartree: 0.2425
Energy relative to the best compared isomer or geometry (same formula, charge and spin) in eV: 4.197
Maximum force in eV/A: 3.26
LUMO level in eV: 4.31
Multiplicity: 1
HOMO in eV: -2.28
Charge: -1

The following is a DFT calculation (ωB97M-V with the def2-TZVPD basis set) of an isolated ion of composition C3H3N2O2S and charge -1.

Each line ends with the Mulliken charge.
Cartesian coordinates (Å):
N (0.2948, -0.2064, 2.1769)  -0.400
C (-0.3805, 0.0379, 0.9918)  -0.405
S (-0.9800, -1.4069, -0.0032)  -0.206
C (-0.5815, -0.6528, -1.5653)  0.344
O (-0.8055, -1.1888, -2.6814)  -0.662
N (-0.0378, 0.5871, -1.3904)  -0.034
C (0.2983, 1.0400, -0.0952)  0.336
O (0.9013, 2.0665, 0.0995)  -0.657
H (1.2131, -0.3888, 2.1001)  0.153
H (-0.3176, -0.9023, 2.5299)  0.291
H (0.3955, 1.0143, -2.1626)  0.239

Properties
Orbital gap in hartree: 0.2034
Energy relative to the best compared isomer or geometry (same formula, charge and spin) in eV: 1.252
Maximum force in eV/A: 6.36
LUMO level in eV: 3.55
SMILES string: Nc1sc(=O)[nH]c1[O-]
Multiplicity: 1
HOMO in eV: -1.98
Charge: -1

The following is a DFT calculation (ωB97M-V with the def2-TZVPD basis set) of an isolated ion of composition C3H3N2O3 and charge -1.

Each line ends with the Mulliken charge.
Cartesian coordinates (Å):
O (0.4320, 1.9186, 1.5254)  -0.639
C (0.3665, 0.9053, 0.8512)  0.322
N (1.0363, 0.5999, -0.2780)  -0.318
C (0.1786, -0.2622, -1.2447)  0.137
O (-0.5105, 0.3742, -1.9978)  -0.695
N (-0.7076, -0.9820, 0.0539)  -0.253
C (-0.5454, -0.3693, 1.2525)  0.407
O (-0.7859, -0.8960, 2.3174)  -0.678
H (1.1930, 1.3823, -0.8307)  0.267
H (0.8873, -1.1040, -1.6292)  0.265
H (-1.5443, -1.5668, -0.0199)  0.186

Properties
Orbital gap in hartree: 0.3287
Energy relative to the best compared isomer or geometry (same formula, charge and spin) in eV: 0.902
Maximum force in eV/A: 4.06
LUMO level in eV: 4.30
SMILES string: O=C1NC([O-])NC1=O
Multiplicity: 1
HOMO in eV: -4.64
Charge: -1

> HOMO of number 2 (C3H3N2O2)?

-2.28 eV

Please write out number 4 again, unchanged.
The following is a DFT calculation (ωB97M-V with the def2-TZVPD basis set) of an isolated ion of composition C3H3N2O3 and charge -1.

Each line ends with the Mulliken charge.
Cartesian coordinates (Å):
O (0.4320, 1.9186, 1.5254)  -0.639
C (0.3665, 0.9053, 0.8512)  0.322
N (1.0363, 0.5999, -0.2780)  -0.318
C (0.1786, -0.2622, -1.2447)  0.137
O (-0.5105, 0.3742, -1.9978)  -0.695
N (-0.7076, -0.9820, 0.0539)  -0.253
C (-0.5454, -0.3693, 1.2525)  0.407
O (-0.7859, -0.8960, 2.3174)  -0.678
H (1.1930, 1.3823, -0.8307)  0.267
'''

### Exercise
What is needed: give back all of the block above unchanged.

### Completed
The following is a DFT calculation (ωB97M-V with the def2-TZVPD basis set) of an isolated ion of composition C3H3N2O2 and charge -1.

Each line ends with the Mulliken charge.
Cartesian coordinates (Å):
O (2.3320, 1.4338, 0.4075)  -0.652
C (1.8406, 0.4379, -0.0615)  0.079
N (0.6097, 0.1611, 0.1137)  0.011
N (-0.1402, -0.9329, -0.5669)  -0.335
C (-1.5204, -0.6458, -0.3993)  -0.916
C (-2.3027, 0.0978, 0.2553)  0.742
O (-3.1371, 0.8197, 0.6786)  -0.655
H (2.3903, -0.3004, -0.6462)  0.330
H (-0.2133, 0.7524, 0.3279)  0.155
H (0.1411, -1.8235, -0.1090)  0.242

Properties
Orbital gap in hartree: 0.2409
Energy relative to the best compared isomer or geometry (same formula, charge and spin) in eV: 3.512
Maximum force in eV/A: 5.84
LUMO level in eV: 4.01
SMILES string: O=CNNC#C[O-]
Multiplicity: 1
HOMO in eV: -2.55
Charge: -1

The following is a DFT calculation (ωB97M-V with the def2-TZVPD basis set) of an isolated ion of composition C3H3N2O2 and charge -1.

Each line ends with the Mulliken charge.
Cartesian coordinates (Å):
C (0.3330, -0.0627, -0.3696)  -0.681
C (0.3947, 1.2658, -1.9872)  0.373
C (-0.3119, 1.1913, -0.8622)  0.551
N (0.0817, -1.4467, 1.6133)  -0.847
N (-0.2438, -0.3292, 0.8060)  0.141
O (1.1549, 1.1092, -2.9056)  -0.536
O (-1.2391, 1.8487, -0.2883)  -0.908
H (-0.2931, -2.2962, 1.1781)  0.247
H (1.0964, -1.5536, 1.6083)  0.302
H (-0.9728, 0.2735, 1.2073)  0.358

Properties
Orbital gap in hartree: 0.2425
Energy relative to the best compared isomer or geometry (same formula, charge and spin) in eV: 4.197
Maximum force in eV/A: 3.26
LUMO level in eV: 4.31
Multiplicity: 1
HOMO in eV: -2.28
Charge: -1

The following is a DFT calculation (ωB97M-V with the def2-TZVPD basis set) of an isolated ion of composition C3H3N2O2S and charge -1.

Each line ends with the Mulliken charge.
Cartesian coordinates (Å):
N (0.2948, -0.2064, 2.1769)  -0.400
C (-0.3805, 0.0379, 0.9918)  -0.405
S (-0.9800, -1.4069, -0.0032)  -0.206
C (-0.5815, -0.6528, -1.5653)  0.344
O (-0.8055, -1.1888, -2.6814)  -0.662
N (-0.0378, 0.5871, -1.3904)  -0.034
C (0.2983, 1.0400, -0.0952)  0.336
O (0.9013, 2.0665, 0.0995)  -0.657
H (1.2131, -0.3888, 2.1001)  0.153
H (-0.3176, -0.9023, 2.5299)  0.291
H (0.3955, 1.0143, -2.1626)  0.239

Properties
Orbital gap in hartree: 0.2034
Energy relative to the best compared isomer or geometry (same formula, charge and spin) in eV: 1.252
Maximum force in eV/A: 6.36
LUMO level in eV: 3.55
SMILES string: Nc1sc(=O)[nH]c1[O-]
Multiplicity: 1
HOMO in eV: -1.98
Charge: -1

The following is a DFT calculation (ωB97M-V with the def2-TZVPD basis set) of an isolated ion of composition C3H3N2O3 and charge -1.

Each line ends with the Mulliken charge.
Cartesian coordinates (Å):
O (0.4320, 1.9186, 1.5254)  -0.639
C (0.3665, 0.9053, 0.8512)  0.322
N (1.0363, 0.5999, -0.2780)  -0.318
C (0.1786, -0.2622, -1.2447)  0.137
O (-0.5105, 0.3742, -1.9978)  -0.695
N (-0.7076, -0.9820, 0.0539)  -0.253
C (-0.5454, -0.3693, 1.2525)  0.407
O (-0.7859, -0.8960, 2.3174)  -0.678
H (1.1930, 1.3823, -0.8307)  0.267
H (0.8873, -1.1040, -1.6292)  0.265
H (-1.5443, -1.5668, -0.0199)  0.186

Properties
Orbital gap in hartree: 0.3287
Energy relative to the best compared isomer or geometry (same formula, charge and spin) in eV: 0.902
Maximum force in eV/A: 4.06
LUMO level in eV: 4.30
SMILES string: O=C1NC([O-])NC1=O
Multiplicity: 1
HOMO in eV: -4.64
Charge: -1

> HOMO of number 2 (C3H3N2O2)?

-2.28 eV

Please write out number 4 again, unchanged.
The following is a DFT calculation (ωB97M-V with the def2-TZVPD basis set) of an isolated ion of composition C3H3N2O3 and charge -1.

Each line ends with the Mulliken charge.
Cartesian coordinates (Å):
O (0.4320, 1.9186, 1.5254)  -0.639
C (0.3665, 0.9053, 0.8512)  0.322
N (1.0363, 0.5999, -0.2780)  -0.318
C (0.1786, -0.2622, -1.2447)  0.137
O (-0.5105, 0.3742, -1.9978)  -0.695
N (-0.7076, -0.9820, 0.0539)  -0.253
C (-0.5454, -0.3693, 1.2525)  0.407
O (-0.7859, -0.8960, 2.3174)  -0.678
H (1.1930, 1.3823, -0.8307)  0.267